
Friday, 13 October 2017

Employment Matters.


Whether a capitalist or a worker, under capitalism one's livelihood depends ultimately on one's income and for the vast majority of us  -- regardless of gender, sexual orientation, race, ethnic origin, religion, age, place of birth or residence, education -- having to rely on work, income in essence comes directly or indirectly from employment. It's been like this since capitalism started, it remains so now.

-- Misplaced materials data --
No. 1
# Ti5S8 PBE optimized geometry
data_Ti5S8
_space_group_name_H-M_alt 'C 1 2/m 1'
_space_group_IT_number 12
_cell_length_a 11.6601
_cell_length_b 6.8512
_cell_length_c 8.2672
_cell_angle_alpha 90.00
_cell_angle_beta 134.20
_cell_angle_gamma 90.00
loop_
_space_group_symop_operation_xyz
'x,y,z'
'-x,-y,-z'
'-x,y,-z'
'x,-y,z'
'x+1/2,y+1/2,z'
'-x+1/2,-y+1/2,-z'
'-x+1/2,y+1/2,-z'
'x+1/2,-y+1/2,z'
loop_
_atom_site_label
_atom_site_type_symbol
_atom_site_fract_x
_atom_site_fract_y
_atom_site_fract_z
Ti1 Ti 0.0000 0.0000 0.0000
Ti2 Ti 0.0000 0.2636 0.5000
Ti3 Ti 0.2454 0.5000 0.9901
S1 S 0.0365 0.0000 0.3306
S2 S 0.0399 0.5000 0.3316
S3 S 0.2080 0.2499 0.1700
# calculated volume = 473.5 Å³/cell
# corrected total energy (MP2020 scheme) = -189.251 eV/cell


No. 2
# NiBiSe PBE optimized geometry
data_NiBiSe
_space_group_name_H-M_alt 'P 21 3'
_space_group_IT_number 198
_space_group_name_Hall 'P 2ac 2ab 3'
_cell_length_a 6.2374
_cell_length_b 6.2374
_cell_length_c 6.2374
_cell_angle_alpha 90.00
_cell_angle_beta 90.00
_cell_angle_gamma 90.00
loop_
_atom_site_label
_atom_site_type_symbol
_atom_site_fract_x
_atom_site_fract_y
_atom_site_fract_z
Ni1 Ni 0.2343 0.2657 0.7343
Bi1 Bi 0.1170 0.1170 0.1170
Se1 Se 0.1212 0.6212 0.8788
# size of the total moment = 0.00 μB/cell
# calculated volume = 242.7 Å³/cell
# corrected total energy (MP2020 scheme) = -57.286 eV/cell


No. 3
# K2LiNb6P3O24 PBE optimized geometry
data_K2LiNb6P3O24
_space_group_name_H-M_alt 'P 1'
_space_group_IT_number 1
_cell_length_a 8.5313
_cell_length_b 8.5420
_cell_length_c 8.5451
_cell_angle_alpha 104.08
_cell_angle_beta 104.20
_cell_angle_gamma 104.17
loop_
_space_group_symop_operation_xyz
'x,y,z'
loop_
_atom_site_label
_atom_site_type_symbol
_atom_site_fract_x
_atom_site_fract_y
_atom_site_fract_z
K1 K 0.0000 0.0000 0.0000
K2 K 0.3903 0.4950 0.4945
Li1 Li 0.2745 0.9848 0.6658
Nb1 Nb 0.0492 0.5657 0.1269
Nb2 Nb 0.3509 0.3792 0.9384
Nb3 Nb 0.5441 0.0587 0.0617
Nb4 Nb 0.6667 0.2521 0.7413
Nb5 Nb 0.7359 0.7634 0.2525
Nb6 Nb 0.8559 0.4446 0.4457
P1 P 0.1950 0.6820 0.8125
P2 P 0.4191 0.9057 0.3641
P3 P 0.9713 0.1303 0.5884
O1 O 0.0098 0.4715 0.2952
O2 O 0.0548 0.6407 0.6393
O3 O 0.1143 0.6980 0.9558
O4 O 0.1437 0.1569 0.7231
O5 O 0.1935 0.4321 0.0616
O6 O 0.2482 0.7629 0.3252
O7 O 0.2784 0.5399 0.7977
O8 O 0.3275 0.8565 0.8418
O9 O 0.3783 0.1957 0.0156
O10 O 0.4053 0.9882 0.2217
O11 O 0.4492 0.0392 0.5378
O12 O 0.4856 0.3336 0.7720
O13 O 0.5426 0.5594 0.0912
O14 O 0.5617 0.8234 0.3775
O15 O 0.6248 0.0937 0.8822
O16 O 0.6704 0.9056 0.1168
O17 O 0.6969 0.2532 0.2421
O18 O 0.7195 0.3770 0.5851
O19 O 0.7583 0.6086 0.3983
O20 O 0.8304 0.1179 0.6730
O21 O 0.8490 0.4063 0.9359
O22 O 0.9015 0.7199 0.1536
O23 O 0.9298 0.9581 0.4471
O24 O 0.9865 0.2738 0.5083
# size of the total moment = 0.00 μB/cell
# calculated volume = 554.0 Å³/cell
# corrected total energy (MP2020 scheme) = -305.159 eV/cell


No. 4
# MgSb2O5 PBE optimized geometry
data_MgSb2O5
_space_group_name_H-M_alt 'P 1'
_space_group_IT_number 1

Mind you, you don't need to be an old-fashioned Marxist to believe that. The standard everyday practice of official statistics offices, like the Australian Bureau of Statistics, is an implicit acknowledgement of that simple fact.

Given that, one should expect workers/employees (the working class, in other words) to be very interested on everything related to employment and unemployment. Often, however, that's not case.

In part that may be due to other subjects being perceived as more "glamorous". Among some strains of post Keynesianism, for example, economics is seen as being about macroeconomic flows of funds, to the exclusion of everything else. On the other hand, business-minded people, with greater access to the media, focus on business-related subjects; their readers and viewers focus on that too.

Another possible explanation is that employment and unemployment, so apparently prosaic and simple, are surprisingly complex phenomena. For one, because in capitalist societies oriented towards moralising, motivations are key: what motivates unemployment, for instance? For another, because employment and unemployment (and the notion of labour force itself) all need to be operationalised for empirical purposes. Among other things, that implies different definitions and occasionally seemingly arbitrary decisions.

Data records that have nothing to do with the piece:
This record from Materials Project describes IO3 after structural relaxation. The functional is r²SCAN.

Geometry as CIF:
```
data_IO3
_symmetry_space_group_name_H-M 'P 1'
_symmetry_Int_Tables_number 1
_symmetry_space_group_name_Hall 'P 1'
_cell_length_a 5.094
_cell_length_b 6.731
_cell_length_c 6.771
_cell_angle_alpha 97.63
_cell_angle_beta 95.86
_cell_angle_gamma 105.24
loop_
_atom_site_label
_atom_site_fract_x
_atom_site_fract_y
_atom_site_fract_z
_atom_site_occupancy
O1 0.208 0.365 0.518 1
O2 0.851 0.303 0.149 1
O3 0.782 0.016 0.417 1
O4 0.792 0.635 0.482 1
O5 0.748 0.313 0.703 1
O6 0.800 0.955 0.801 1
I1 0.799 0.658 0.779 1
O7 0.218 0.984 0.583 1
O8 0.742 0.709 0.109 1
O9 0.149 0.697 0.851 1
I2 0.998 0.829 0.329 1
I3 0.201 0.342 0.221 1
O10 0.258 0.291 0.891 1
O11 0.252 0.687 0.297 1
O12 0.200 0.045 0.199 1
I4 0.002 0.171 0.671 1
```

## Properties
- Crystal system: triclinic
- DFT total energy: -10.75 eV per atom

Whatever the cause, employment matters fall into oblivion.

Nick Bunker (h/t David Ruccio) discusses some questions related to employment. His discussion is centred on the US and involves some statistical subtleties, which may put non-Yank or lay readers off, but the introduction to his article is useful as motivation.

A few weeks back Bill Mitchell introduced a basic framework incorporating unemployment, employment (in the Australian case, part- and full-time), and the relationships between them. It's very didactic.

Mitchell used the same conceptual structure the ABS employs and explains in its regular release 6202.0 - Labour Force, Australia. Those interested in the details could also explore it.

(Mitchell also introduces, at a descriptive level only, a very useful mathematical object called a matrix. I imagine for many readers this would be their first contact with it.)

ABS 6105.0 - Australian Labour Market Statistics explains how they measure unemployment and it's also very instructive (the diagram opening is there). Last but not least, 6202.0 offers a very convenient glossary, too.

Happy readings.

1 comment:

  1. You left out the "blame immigrants" measurement.

    Indeed, unemployment is a political football, which is why many governments do their best to massage the numbers.
